Archives for the month of: March, 2011

I’ve been a busy bee lately testing out new things. Last weekend I attempted the delicate treat known as the French macaroon (not to be confused with the coconut macaroon that bears little resemblance to its French counterpart but is equally tasty). I’m not finished with the macaroon project, so stay tuned for that one.

Color has frequently let me down with some of my past baking adventures. I tried to make orange and black cupcakes at Halloween, but they came out more of a salmon-y shade rather than pumpkin, then I tried to make purple and it came out a sort of gray/lilac. After extensive quizzing of the “cake lady” at my local cookshop and recommendation from other baking friends, I invested in some color paste. They’re not cheap, so as not to break the bank I purchased the primary colours and “Claret” which is really good for achieving the ultimate shades of pink.

<<<
Entry 1:
# C8H12NO2

A 2-piece molecular cluster, C8H12NO2 overall (wB97M-V/def2-TZVPD, the OMol25 dataset).

- E_LUMO (spin up / spin down) (eV) = -3.96 / -3.96
- calculated total energy (eV) = -14064.6218
- energy above the lowest of the compared OMol25 structures with the same formula, charge and spin (kJ/mol) = 337.84
- multiplicity = 1
- orbital gap (spin up / spin down) (Ha) = 0.3280 / 0.3280
- max |F| (eV Å⁻¹) = 5.20
- total charge = +1

Geometry as XYZ:
```
23
Properties=species:S:1:pos:R:3:forces:R:3
C -0.334630 3.227535 0.887575 0.71 -2.00 0.23
C -1.294951 2.742510 -0.009136 -1.08 1.56 -0.13
C 0.514572 2.323093 1.550236 1.31 -1.38 -0.14
C -1.377871 1.384411 -0.321255 -1.61 -0.45 -1.17
C 0.412921 0.922613 1.247007 1.06 0.95 -0.53
C -0.494167 0.574482 0.312855 0.14 -3.40 0.06
C 1.812993 -1.637049 -0.833453 3.33 -0.14 0.72
C -0.426130 -1.774171 -0.036322 -3.30 3.79 -1.36
N 0.438139 -1.758140 -1.335707 0.20 -3.36 0.81
O -1.713342 -1.992609 -0.529702 0.46 -0.21 0.45
O -0.029805 -2.580990 0.942029 -0.05 -1.06 -0.02
H -0.143650 4.262825 0.975609 -0.22 0.95 0.33
H -2.039248 3.517423 -0.406841 1.21 -1.49 0.22
H 1.421753 2.564091 2.180857 -1.48 0.33 -0.70
H -2.126185 0.951657 -1.040131 0.69 0.80 0.73
H 1.166942 0.132799 1.342602 -0.05 0.83 1.40
H 2.547935 -1.729892 -1.693295 -0.81 -0.20 1.32
H 1.902368 -0.645015 -0.438363 -0.05 0.93 -0.42
H 2.152219 -2.167830 0.186113 -1.32 0.02 -2.91
H 0.223547 -0.943237 -1.911587 -0.36 -0.07 0.29
H 0.282647 -2.665558 -1.954214 0.30 2.05 1.56
H -2.317277 -1.288998 -0.241724 0.29 -0.32 0.06
H -0.578780 -3.419952 1.126847 0.67 1.89 -0.81
```
Positions in Å, forces in eV/Å.

=====

Entry 2:
# C3H9N3O

An isolated molecule of C3H9N3O (wB97M-V/def2-TZVPD, the OMol25 dataset).

- E_LUMO (spin up / spin down) (eV) = -0.23 / -0.22
- calculated total energy (eV) = -9769.3163
- energy above the lowest of the compared OMol25 structures with the same formula, charge and spin (kJ/mol) = 600.42
- multiplicity = 1
- orbital gap (spin up / spin down) (Ha) = 0.2726 / 0.2727
- max |F| (eV Å⁻¹) = 2.18
- total charge = 0

Geometry as XYZ:
```
16
Properties=species:S:1:pos:R:3:forces:R:3
C -1.660974 0.182465 -0.092040 1.70 -1.24 0.57
C 0.813632 -0.993762 -1.222125 0.13 -0.46 0.03
N 0.181765 -0.649676 0.035446 -0.54 1.41 0.27
C -0.402251 0.905880 0.112292 -0.63 1.76 -0.85
N 0.697654 -1.287637 1.178127 0.45 -0.73 0.72
O -0.061626 1.256481 1.439402 -0.39 -0.22 0.35
N -0.225528 1.813977 -0.865106 0.24 -0.43 0.63
H -0.826654 1.687074 1.846866 0.26 0.02 -0.20
H 1.648535 -1.658269 1.092780 -0.41 -0.10 -1.03
H 0.828324 -0.654501 1.963780 -0.80 0.56 -0.44
H 0.363009 2.572231 -0.508847 0.21 -0.40 -0.20
H -2.308824 -0.002846 0.758916 -0.01 -0.32 -0.14
H -2.004587 0.061817 -1.111147 0.03 0.01 0.14
H 0.830901 -2.077970 -1.352764 -0.10 0.01 -0.03
H 1.850716 -0.632659 -1.233171 -0.18 0.05 0.04
H 0.275907 -0.522605 -2.042408 0.04 0.08 0.13
```
Positions in Å, forces in eV/Å.

=====

Entry 3:
# C39H59N4S6SbSi2W
>>>
End of the calculated molecules =

I’ve got another cupcake project coming up with the request to have different shades of pink frosting. So as not to jump in blindly, I decided to have a testing weekend. I made some simple, but very tasty vanilla cupcakes from the Primrose Bakery Cupcake book.

For the frosting, I used their vanilla buttercream recipe. Mini G helped me choose which colours to create. We went with pink, green, purple and plain.

For the pink, I used 2 drops of “Claret”. It achieved a nice bubble gum effect pink, very vibrant.

This green would be perfect for pistachio. I used a combo of approximately 3 drops “Egg Yellow/Cream” and 1 drop “Ice Blue”.

Purple is a difficult one as I am learning. Even though I’m using the new super fun colors, I still have not managed to find the perfect combo. This is a very “grown up and serious” purple rather than a “youthful” purple. Maybe purple is just not my thing and I should just give up. Anyway, I used about 4 drops “Christmas Red” and 2 drops “Ice Blue” for the serious purple you see here. (The lighting doesn’t do it justice, it looks a bit brownish in this photo)

Since this was a color experiment and not a decorating experiment, I decided to go crazy with all of the different toppings in my collection.

I’m pleased with the investment of the new colors. My cupcakes will thank me for it.

Mini G specially requested lemon cake. I find that cupcakes keep and travel well, so I decided to turn what usually would be a traditional lemon cake into something new – Pink Lemonade Cupcakes.

Using the handy Primrose Bakery book again, I tried out their lemon cupcake recipe.

I love lemon zest. It’s such a wake up flavor.

As it was Mini G’s idea, he wanted to help. I got out the cupcake pen and set him to work.

Lookin’ good!

Mini G also decided the cupcakes should have pink icing.

These remind me of having pink lemonade on hot summer days. The added sparkle makes them that much more fun. If only summer would get here faster!

One of our favorite meals is chilli. Part of my family is from Texas, so it’s pretty much in my blood. The husband makes a vat of it so we can freeze it and have a handy “ready meal”.

One of my favorite “scents” is roasted red peppers, it’s also a key ingredient for making the chilli super yummy.

Normally a couple of lagers gets chucked in for added flavor, but this time we decided to go with red wine. Reducing the wine with a bit of beef stock gives the chilli a very savory flavor.

The browned meat and roasted peppers are ready to be combined with the softened onions and reduction.

The chilli is ready. I wish it was dinner time, because I tested it and I could eat the whole pot. Thankfully, it’s what we’re having tonight and there are 6 more meals going into the freezer for a future date.

Now I just need to get my cornbread swerve on… ahh, a project for next weeked – watch this space!

A colleague of mine commissioned me to make cupcakes for her daughter’s birthday. I was really nervous as these had to be great. I couldn’t let down the birthday girl. I decided that chocolate cakes would be the way to go, so I reached for my trusty Primrose Bakery Cupcake book.

Only the best chocolate would do for these cupcakes.

I made sure all of the ingredients were at room temperature for proper mixing.

Once the chocolate was melted and cooled, I combined it with the rest of the ingredients. The secret to this recipe is separating the eggs and whisking the egg whites to a fluffy consistency. The batter was mousse-like.

These were one of the best I’ve made (says my husband). I think they were pretty amazing, if I do say so myself!

As my colleague’s daughter is a bit of a tomboy and loves horses, I went with a lavender/chocolate brown combination. I was pretty nervous presenting these as it was my first “paid gig”, but I think the result was a-ok.

Since moving to the UK over 6 years ago and the revelation of “Pancake Day”, I vowed that one day I would have pancakes in some form for breakfast, lunch and dinner. Since pancake day represents Shrove Tuesday, pancakes for lunch has always been the sticking point as it falls during the work week. My other half generally doesn’t want pancakes for dinner, so I’ve ended up making them for myself for breakfast only.

This year I managed to convince the other half to have galettes for dinner. Since they are a crepe and crepes are pancakes, it fit the bill!

We’ve been trying to perfect this recipe and technique ever since our first trip to France. I think we are almost there!

One of these years, I will manage to do pancakes for lunch and will fulfil my dream of having pancakes for breakfast, lunch and dinner.

I fancied a really comforting dessert, kinda like apple pie. I noticed this recipe in my favourite baking book, Eric Lanlard’s Home Bake and thought this would be the perfect combination.

I love using my springform tin, it doesn’t get enough use. I’ll need to work on that. (cheesecake anyone?!)

The batter was super easy to put together; a simple sponge.

Peeling the apples was the most difficult and time consuming task for this recipe.

But the end result was definitely worth it.

Once the sponge layer and apple layer were put together, I topped them with the crumble layer.

I’m not sure if I used too much flour in the crumble mixture, (although I thought I followed the recipe exactly) but the end result of the topping came out a bit dry rather than crumble-y. I will definitely do this recipe again as even though the crumble wasn’t perfect, it tasted delicious! I have a feeling this will be a regular one in my repertoire come autumn.

I was intrigued by the chocolate and beetroot cake recipe from the Red Velvet & Chocolate Heartache cookbook and wanted to test out the combinations of flavours. I had never made fudge before and am always up for a baking challenge, so I thought this would be a good one. I like chocolate, I like beetroot… let’s see how the two work together.

I followed the recipe closely and carefully.

Melting sugar, butter with the condensed milk and then added the chocolate.

Looking good…

This is where I fell down. I was trying to be careful as to not overcook the chocolate mixture, I don’t think I got it to the right temperature at the end – or – I didn’t mix it hard enough – or – both… The fudge didn’t set quite as much as anticipated and turned out to be “spoon fudge”.

Not to be discouraged, I put it in pretty papers for nice presentation.

The flavour was good right after it was cooked and set. However 24 hours after “maturing”, the fudge became too sweet and cloying. I would be tempted to test out the recipe again so I could get the consistency right and hopefully the flavour won’t be overly sweet. I’m glad I tried it out even though it didn’t come out exactly right. Next up…

It’s rare that the hubs and I get a lie in on a Sunday as Mini G tends to wake up before the sun and insists we get up too. This particular weekend however, Mini G had a sleepover at Nanny and Poppy’s. I took advantage of the leisurely situation and decided to try out a new pancake recipe from one of the newest cookbooks in my collection – French Women Don’t Get Fat Cookbook.

I’m a big fan of Mireille Guiliano’s books and ethos on life in general. This recipe did not disappoint, in fact for a “healthy breakfast” it tastes very indulgent.

The lemon is a morning wake up for the taste buds.

The ricotta makes the pancakes fluffy and light.

It was a brilliant recipe to test on a quiet Sunday morning. I only hope that there will be more like this in my future. Saying that… Pancake day is just 2 days away. Mmmm…. pancakes!